=====
Structure and computed powder XRD pattern of Ti2ZnPd9 (DFT lattice parameters and positions (GGA-PBE); λ = 1.5418 Å (Cu Kα)).

```
Ti2ZnPd9
1.0
3.9295 0.0000 0.0000
0.0000 3.9295 0.0000
0.0000 0.0000 11.7285
Ti Zn Pd
2 1 9
Direct
0.0000 0.0000 0.1727
0.0000 0.0000 0.8273
0.0000 0.0000 0.5000
0.0000 0.5000 0.0000
0.0000 0.5000 0.3303
0.0000 0.5000 0.6697
0.5000 0.0000 0.0000
0.5000 0.0000 0.3303
0.5000 0.0000 0.6697
0.5000 0.5000 0.1649
0.5000 0.5000 0.5000
0.5000 0.5000 0.8351
```

Main lines, in order of rising 2θ (2θ from 10° to 80°):
| h k l | two_theta | d (Å) | I_rel |
| --- | --- | --- | --- |
| 1 0 0 | 22.63 | 3.929 | 4 |
| 0 0 3 | 22.75 | 3.909 | 2 |
| 1 0 3 | 32.27 | 2.774 | 5 |
| 1 1 3 | 39.80 | 2.265 | 100 |
| 2 0 0 | 46.21 | 1.965 | 32 |
| 0 0 6 | 46.46 | 1.955 | 16 |
| 2 1 0 | 52.07 | 1.756 | 2 |
| 2 1 3 | 57.50 | 1.603 | 1 |
| 2 2 0 | 67.41 | 1.389 | 10 |
| 2 0 6 | 67.60 | 1.386 | 20 |

* * * * *

No. 1
Structure and simulated XRD peak list of DyF3 (a structure optimized by DFT (PBE); a wavelength of 1.5418 Å).
Peak positions follow from Bragg's law for the DFT cell and can differ from measured ones.

Atomic structure:
Unit cell a=6.837 b=6.837 c=7.023 alpha=90.00 beta=90.00 gamma=120.00
Fractional positions:
Dy1 0.000 0.345 0.250
Dy2 0.000 0.655 0.750
Dy3 0.345 0.000 0.250
Dy4 0.345 0.345 0.750
Dy5 0.655 0.000 0.750
Dy6 0.655 0.655 0.250
F1 0.000 0.000 0.250
F2 0.000 0.000 0.750
F3 0.067 0.374 0.921
F4 0.067 0.693 0.421
F5 0.307 0.374 0.421
F6 0.307 0.933 0.921
F7 0.333 0.667 0.184
F8 0.333 0.667 0.684
F9 0.374 0.067 0.579
F10 0.374 0.307 0.079
F11 0.626 0.693 0.921
F12 0.626 0.933 0.421
F13 0.667 0.333 0.316
F14 0.667 0.333 0.816
F15 0.693 0.067 0.079
F16 0.693 0.626 0.579
F17 0.933 0.307 0.579
F18 0.933 0.626 0.079

Peak list (10 most intense, 10 to 90 degrees two-theta, most intense first)
2θ = 29.05°, rel. 100; 2θ = 47.05°, rel. 48; 2θ = 45.98°, rel. 37; 2θ = 25.37°, rel. 37; 2θ = 53.24°, rel. 31; 2θ = 26.07°, rel. 26; 2θ = 55.31°, rel. 18; 2θ = 74.70°, rel. 15; 2θ = 67.90°, rel. 13; 2θ = 85.92°, rel. 13


No. 2
Structure and simulated XRD peak list of Ca2As (a structure optimized by DFT (PBE); a wavelength of 1.5418 Å).
Peak positions follow from Bragg's law for the DFT cell and can differ from measured ones.

Atomic structure:
Unit cell a=8.571 b=8.571 c=8.571 alpha=149.06 beta=149.06 gamma=44.32
Fractional positions:
Ca1 0.000 0.500 0.500
Ca2 0.179 0.179 0.000
Ca3 0.500 0.000 0.500
Ca4 0.821 0.821 0.000
As1 0.366 0.366 0.000
As2 0.634 0.634 0.000

Peak list (10 most intense, 10 to 90 degrees two-theta, most intense first)
2θ = 35.82°, rel. 100; 2θ = 29.84°, rel. 64; 2θ = 39.41°, rel. 62; 2θ = 27.59°, rel. 38; 2θ = 34.39°, rel. 35; 2θ = 20.21°, rel. 29; 2θ = 69.14°, rel. 27; 2θ = 44.62°, rel. 26; 2θ = 52.93°, rel. 21; 2θ = 33.88°, rel. 21


No. 3
Structure and simulated XRD peak list of LiGa5O8 (a structure optimized by DFT (PBE); a wavelength of 1.5418 Å).
Peak positions follow from Bragg's law for the DFT cell and can differ from measured ones.

Atomic structure:
Unit cell a=8.323 b=8.323 c=8.323 alpha=90.00 beta=90.00 gamma=90.00
Fractional positions:
Li1 0.125 0.125 0.125
Li2 0.375 0.875 0.625
Li3 0.625 0.375 0.875
Li4 0.875 0.625 0.375
Ga1 0.003 0.503 0.997
Ga2 0.116 0.375 0.366
Ga3 0.125 0.634 0.616
Ga4 0.134 0.884 0.875
Ga5 0.247 0.253 0.747
Ga6 0.253 0.747 0.247
Ga7 0.366 0.116 0.375
Ga8 0.375 0.366 0.116
Ga9 0.384 0.625 0.866
Ga10 0.497 0.497 0.497
Ga11 0.503 0.997 0.003
Ga12 0.616 0.125 0.634
Ga13 0.625 0.866 0.384
Ga14 0.634 0.616 0.125
Ga15 0.747 0.247 0.253
Ga16 0.753 0.753 0.753
Ga17 0.866 0.384 0.625
Ga18 0.875 0.134 0.884
Ga19 0.884 0.875 0.134
Ga20 0.997 0.003 0.503
O1 0.113 0.387 0.613
O2 0.116 0.118 0.873
O3 0.118 0.873 0.116
O4 0.123 0.868 0.634
O5 0.127 0.616 0.382
O6 0.132 0.134 0.377
O7 0.134 0.377 0.132
O8 0.137 0.637 0.863
O9 0.363 0.363 0.363
O10 0.366 0.623 0.632
O11 0.368 0.866 0.877
O12 0.373 0.384 0.882
O13 0.377 0.132 0.134
O14 0.382 0.127 0.616
O15 0.384 0.882 0.373
=====

Print everything above without altering anything.

Structure and computed powder XRD pattern of Ti2ZnPd9 (DFT lattice parameters and positions (GGA-PBE); λ = 1.5418 Å (Cu Kα)).

```
Ti2ZnPd9
1.0
3.9295 0.0000 0.0000
0.0000 3.9295 0.0000
0.0000 0.0000 11.7285
Ti Zn Pd
2 1 9
Direct
0.0000 0.0000 0.1727
0.0000 0.0000 0.8273
0.0000 0.0000 0.5000
0.0000 0.5000 0.0000
0.0000 0.5000 0.3303
0.0000 0.5000 0.6697
0.5000 0.0000 0.0000
0.5000 0.0000 0.3303
0.5000 0.0000 0.6697
0.5000 0.5000 0.1649
0.5000 0.5000 0.5000
0.5000 0.5000 0.8351
```

Main lines, in order of rising 2θ (2θ from 10° to 80°):
| h k l | two_theta | d (Å) | I_rel |
| --- | --- | --- | --- |
| 1 0 0 | 22.63 | 3.929 | 4 |
| 0 0 3 | 22.75 | 3.909 | 2 |
| 1 0 3 | 32.27 | 2.774 | 5 |
| 1 1 3 | 39.80 | 2.265 | 100 |
| 2 0 0 | 46.21 | 1.965 | 32 |
| 0 0 6 | 46.46 | 1.955 | 16 |
| 2 1 0 | 52.07 | 1.756 | 2 |
| 2 1 3 | 57.50 | 1.603 | 1 |
| 2 2 0 | 67.41 | 1.389 | 10 |
| 2 0 6 | 67.60 | 1.386 | 20 |

* * * * *

No. 1
Structure and simulated XRD peak list of DyF3 (a structure optimized by DFT (PBE); a wavelength of 1.5418 Å).
Peak positions follow from Bragg's law for the DFT cell and can differ from measured ones.

Atomic structure:
Unit cell a=6.837 b=6.837 c=7.023 alpha=90.00 beta=90.00 gamma=120.00
Fractional positions:
Dy1 0.000 0.345 0.250
Dy2 0.000 0.655 0.750
Dy3 0.345 0.000 0.250
Dy4 0.345 0.345 0.750
Dy5 0.655 0.000 0.750
Dy6 0.655 0.655 0.250
F1 0.000 0.000 0.250
F2 0.000 0.000 0.750
F3 0.067 0.374 0.921
F4 0.067 0.693 0.421
F5 0.307 0.374 0.421
F6 0.307 0.933 0.921
F7 0.333 0.667 0.184
F8 0.333 0.667 0.684
F9 0.374 0.067 0.579
F10 0.374 0.307 0.079
F11 0.626 0.693 0.921
F12 0.626 0.933 0.421
F13 0.667 0.333 0.316
F14 0.667 0.333 0.816
F15 0.693 0.067 0.079
F16 0.693 0.626 0.579
F17 0.933 0.307 0.579
F18 0.933 0.626 0.079

Peak list (10 most intense, 10 to 90 degrees two-theta, most intense first)
2θ = 29.05°, rel. 100; 2θ = 47.05°, rel. 48; 2θ = 45.98°, rel. 37; 2θ = 25.37°, rel. 37; 2θ = 53.24°, rel. 31; 2θ = 26.07°, rel. 26; 2θ = 55.31°, rel. 18; 2θ = 74.70°, rel. 15; 2θ = 67.90°, rel. 13; 2θ = 85.92°, rel. 13


No. 2
Structure and simulated XRD peak list of Ca2As (a structure optimized by DFT (PBE); a wavelength of 1.5418 Å).
Peak positions follow from Bragg's law for the DFT cell and can differ from measured ones.

Atomic structure:
Unit cell a=8.571 b=8.571 c=8.571 alpha=149.06 beta=149.06 gamma=44.32
Fractional positions:
Ca1 0.000 0.500 0.500
Ca2 0.179 0.179 0.000
Ca3 0.500 0.000 0.500
Ca4 0.821 0.821 0.000
As1 0.366 0.366 0.000
As2 0.634 0.634 0.000

Peak list (10 most intense, 10 to 90 degrees two-theta, most intense first)
2θ = 35.82°, rel. 100; 2θ = 29.84°, rel. 64; 2θ = 39.41°, rel. 62; 2θ = 27.59°, rel. 38; 2θ = 34.39°, rel. 35; 2θ = 20.21°, rel. 29; 2θ = 69.14°, rel. 27; 2θ = 44.62°, rel. 26; 2θ = 52.93°, rel. 21; 2θ = 33.88°, rel. 21


No. 3
Structure and simulated XRD peak list of LiGa5O8 (a structure optimized by DFT (PBE); a wavelength of 1.5418 Å).
Peak positions follow from Bragg's law for the DFT cell and can differ from measured ones.

Atomic structure:
Unit cell a=8.323 b=8.323 c=8.323 alpha=90.00 beta=90.00 gamma=90.00
Fractional positions:
Li1 0.125 0.125 0.125
Li2 0.375 0.875 0.625
Li3 0.625 0.375 0.875
Li4 0.875 0.625 0.375
Ga1 0.003 0.503 0.997
Ga2 0.116 0.375 0.366
Ga3 0.125 0.634 0.616
Ga4 0.134 0.884 0.875
Ga5 0.247 0.253 0.747
Ga6 0.253 0.747 0.247
Ga7 0.366 0.116 0.375
Ga8 0.375 0.366 0.116
Ga9 0.384 0.625 0.866
Ga10 0.497 0.497 0.497
Ga11 0.503 0.997 0.003
Ga12 0.616 0.125 0.634
Ga13 0.625 0.866 0.384
Ga14 0.634 0.616 0.125
Ga15 0.747 0.247 0.253
Ga16 0.753 0.753 0.753
Ga17 0.866 0.384 0.625
Ga18 0.875 0.134 0.884
Ga19 0.884 0.875 0.134
Ga20 0.997 0.003 0.503
O1 0.113 0.387 0.613
O2 0.116 0.118 0.873
O3 0.118 0.873 0.116
O4 0.123 0.868 0.634
O5 0.127 0.616 0.382
O6 0.132 0.134 0.377
O7 0.134 0.377 0.132
O8 0.137 0.637 0.863
O9 0.363 0.363 0.363
O10 0.366 0.623 0.632
O11 0.368 0.866 0.877
O12 0.373 0.384 0.882
O13 0.377 0.132 0.134
O14 0.382 0.127 0.616
O15 0.384 0.882 0.373